How can we ‘open up the health care world?’
“Everyone wants to know how we can open up the health care world,” Binder told the audience at The Alliance Annual Seminar on “Aiming for Impact” held May 12 at Monona Terrace, Madison, Wis.
The current political landscape favors the movement toward more transparency in health care, according to Leah Binder, CEO of the Leapfrog Group. External Link. Opens in new window..
The Leapfrog Group is a national organization based in Washington, DC, that represents employer purchasers of health care who demand improvements in the safety of the nation’s hospitals.
Consumer Power
Binder conducted a quick quiz, asking the audience which group spent the most money on U.S. health care in 2014. Almost everyone in the room voted for one of four choices: Medicare and the military, which it was later revealed funded 26 percent of 2014 health care; private businesses, which funded 21 percent; Medicaid, 18 percent; or health plans, which funded 7 percent.
Almost no one voted for the “other” category, which represented the 28 percent that consumers spent on premiums and out-of-pocket costs in 2014, making them the biggest purchaser.
“There’s no other market where 28 percent of that market is treated as virtually irrelevant,” Binder pointed out. In the coming years, she predicted that dynamic will change as consumers are energized by health plan requirements for greater out-of-pocket payments. Led by the Millennial Generation, consumers will come to demand the ability to shop for health care on their smartphones, just as they shop for everything else.
Binder urged employers to add their energy to consumers’ push for greater price transparency, since combined the two groups make up almost half of all U.S. health care spending.
“The power of this movement toward better care at a better price has become very dramatic,” Binder said. “And we’ve got to add momentum to that, because we’ve never had an opportunity like this in history.”
Value-Based Purchasing
Binder noted that quality rating groups have become more aggressive in getting their quality measures out to the public through venues like Yelp. External Link. Opens in new window. and ProPublica. External Link. Opens in new window..
That quality information can be combined with cost information to enable value-based purchasing. Purchasers aim to use value-based information to shift the market, just as engaged consumers would do.
“Instead of paying for care blindly, we pay for care we want and need and shop around for it,” Binder said.
The premier payer starting to purchase health care this way is the federal government’s Centers for Medicare and Medicaid services (CMS). External Link. Opens in new window.. She also cited Geisinger Health Systems’. External Link. Opens in new window. work to create bundled payments that cover all segments of a single episode of care. Yet a Journal for the American Medical Association (JAMA). External Link. Opens in new window. study showed most hospitals are still struggling to answer basic price questions from consumers and other payers.
“The movement toward value is very powerful, and health care is completely unprepared for this,” Binder said.
Understanding Ratings
Nationally, a variety of ratings systems rate different elements of the health care world to achieve different goals. Leapfrog is the only reviewer that focuses solely on safety.
Some critics claim these varied efforts confuse consumers. Binder said surveys show the opposite is true – consumers understand that different types of reviews exist, just as they know that different ratings systems for movies and cars will have different results.
But Binder added that too many existing health care rating systems are difficult to understand, rate everyone as average or fail to hone in on measures that matter to people. Binder said the federal government’s HospitalCompare.gov. External Link. Opens in new window. site is an example, with 90 percent of hospitals appearing at the “national average” for their death rate from stroke.
“I would strongly urge you not to go to any hospitals that are below average because it takes a lot to get there,” Binder said dryly.
Newer rating systems reflect purchasers’ expectations that ratings should be unbiased, reflect widespread variation in quality and allow people to seek information that is relevant to their needs.
Leapfrog’s Key Role in the Health Care World
Leapfrog’s ratings meet all three standards. Leapfrog asks health systems and hospitals to complete the voluntary Leapfrog Hospital Survey for each location where they provide care. The survey provides information about safety in five areas:
- Management practices that promote quality and safety
- Maternity care outcomes
- High-risk procedure outcomes, where the death rate at one hospital can be six times that of another.
- Hospital-acquired conditions
- Medication safety
Nationwide, hospitals’ voluntary participation is rising, with 1,750 hospitals participating to cover 60 percent of hospital beds. In Illinois, 49 percent of hospitals participate. But in Wisconsin and Iowa, participation is only 9 percent, which Binder described as “puzzling.”
Purchasers are finding ways to tie payment to Leapfrog data to encourage greater safety. In Maine, for example, purchasers waive the $250 deductible at hospitals that meet Leapfrog quality standards.
Leapfrog also produces Hospital Safety Scores, which use public measures to provide grades even in cases where hospitals fail to complete the voluntary survey.
“We don’t see why transparency should be voluntary when we’re spending so much money,” Binder said. The grades of “A” to “F” are available on The Alliance Find a Doctor website. External Link. Opens in new window..
Consumers Care About Safety
Attached: calculated molecules =
217
Properties=species:S:1:pos:R:3 method="wB97M-V/def2-TZVPD" orbital_gap_ha=0.122 total_energy_ev=-131908.4635 fmax_ev_per_a=2.7 homo_ha=-0.264 total_charge=+1
C 3.65 -3.95 2.56
C 3.18 -4.77 3.77
C 2.93 -6.24 3.39
C 1.97 -4.11 4.44
C 0.66 -4.46 4.11
C -0.41 -3.72 4.59
C -1.82 -3.89 4.06
C -2.03 -5.21 3.32
C -2.28 -2.70 3.22
C -0.17 -2.70 5.55
C -1.28 -2.00 6.18
N -2.10 -2.59 7.14
C -2.32 -4.01 7.34
C -3.53 -4.59 6.91
C -4.66 -3.72 6.35
C -5.60 -3.31 7.48
C -5.40 -4.35 5.17
C -3.70 -5.97 7.00
C -2.65 -6.78 7.44
C -1.46 -6.20 7.88
C -1.32 -4.82 7.91
C -0.14 -4.15 8.61
C 0.99 -5.15 8.92
C -0.57 -3.38 9.84
N -2.96 -1.67 7.66
N -2.64 -0.50 7.05
C -3.43 0.66 7.38
C -4.44 1.07 6.49
C -4.84 0.20 5.30
C -4.40 0.84 4.00
C -6.34 -0.10 5.28
C -5.13 2.25 6.74
C -4.93 2.93 7.93
C -4.03 2.43 8.88
C -3.27 1.30 8.62
C -2.39 0.77 9.76
C -0.95 0.49 9.35
C -3.01 -0.43 10.47
C -1.66 -0.68 6.03
C -1.19 0.23 5.08
C 1.16 -2.37 5.93
C 1.49 -1.25 6.92
C 2.03 -0.02 6.18
C 2.47 -1.68 8.02
C 2.21 -3.07 5.33
H 3.88 -2.92 2.86
H 4.55 -4.39 2.12
H 2.86 -3.90 1.79
H 3.99 -4.75 4.52
H 2.53 -6.79 4.25
H 2.22 -6.32 2.56
H 3.87 -6.70 3.08
H 0.50 -5.30 3.43
H -2.46 -3.92 4.94
H -1.78 -6.06 3.96
H -3.08 -5.32 3.02
H -1.41 -5.24 2.41
H -2.14 -1.75 3.74
H -1.70 -2.66 2.28
H -3.34 -2.79 2.97
H -4.18 -2.81 5.98
H -5.05 -2.68 8.19
H -6.46 -2.74 7.10
H -5.97 -4.20 8.01
H -4.71 -4.63 4.37
H -5.95 -5.25 5.49
H -6.12 -3.63 4.76
H -4.65 -6.42 6.71
H -2.76 -7.86 7.45
H -0.64 -6.83 8.24
H 0.26 -3.42 7.89
H 1.30 -5.67 8.01
H 1.86 -4.64 9.33
H 0.65 -5.89 9.65
H -1.35 -2.64 9.59
H -0.99 -4.06 10.60
H 0.27 -2.83 10.29
H -4.32 -0.76 5.42
H -3.32 1.02 4.01
H -4.64 0.20 3.14
H -4.90 1.81 3.87
H -6.68 -0.50 6.25
H -6.93 0.80 5.07
H -6.58 -0.85 4.51
H -5.86 2.60 6.00
H -5.49 3.84 8.15
H -3.92 2.92 9.85
H -2.36 1.59 10.49
H -0.51 1.35 8.82
H -0.33 0.27 10.23
H -0.91 -0.38 8.68
H -3.96 -0.16 10.94
H -3.21 -1.24 9.75
H -2.34 -0.82 11.25
H -1.54 1.26 5.10
H -0.45 -0.15 4.39
H 0.55 -0.98 7.40
H 1.28 0.36 5.47
H 2.27 0.79 6.88
H 2.94 -0.28 5.62
H 2.12 -2.57 8.56
H 3.45 -1.92 7.58
H 2.61 -0.88 8.75
H 3.24 -2.79 5.57
C 1.31 8.84 -2.76
N 2.18 8.20 -3.72
C 2.99 9.12 -4.50
C 2.37 6.86 -3.81
C 3.43 6.35 -4.61
C 3.60 4.98 -4.76
C 2.71 4.06 -4.18
C 2.83 2.60 -4.43
C 4.08 2.03 -4.93
C 4.68 0.82 -4.66
C 4.06 -0.34 -4.10
C 4.21 -1.57 -4.80
C 3.89 -2.77 -4.22
C 3.26 -2.79 -2.95
N 2.85 -3.96 -2.38
C 2.16 -3.95 -1.10
C 3.02 -5.23 -3.04
C 2.99 -1.55 -2.30
C 3.38 -0.35 -2.87
Pd 1.47 2.44 -6.08
P 1.72 3.59 -7.98
C 1.40 2.63 -9.47
C 0.32 2.93 -10.32
C 0.12 2.20 -11.48
C 0.98 1.15 -11.81
C 2.03 0.81 -10.95
C 2.22 1.53 -9.77
C 0.56 4.96 -7.89
C 0.30 5.78 -9.00
C -0.59 6.85 -8.87
C -1.19 7.13 -7.63
C -0.89 6.34 -6.52
C -0.03 5.25 -6.65
C 3.34 4.35 -8.17
C 3.49 5.74 -8.12
C 4.75 6.32 -8.26
C 5.88 5.52 -8.44
C 5.74 4.13 -8.50
C 4.48 3.54 -8.34
P -0.09 0.81 -6.02
C -0.79 1.07 -4.39
C -2.01 1.74 -4.22
C -2.44 2.08 -2.93
C -1.63 1.80 -1.83
C -0.39 1.18 -1.99
C 0.01 0.76 -3.27
C -1.36 1.01 -7.28
C -1.79 -0.08 -8.05
C -2.73 0.10 -9.06

Consumers react strongly when they learn that hospitals do not report their safety information. Binder noted that consumers were more upset by learning that a hospital didn’t report or didn’t know its safety information than by learning it had a higher rate of dangerous objects left in a patient following surgery; a higher rate of mortality; or a higher infection rate.
“Consumers will choose safer hospitals 97 percent of the time, regardless of cost,” Binder said.
Patient safety issues kill 250,000 people a year, a population that is equivalent to the city of Madison. These issues also significantly increase the cost of health care benefits.
“How many good jobs weren’t created because these employers had to pay for surgical site infections?” Binder asked.
Yet employers and other groups have proven that concerted efforts to improve safety can lead to significant, lifesaving progress. An example is the nationwide effort to reduce early elective deliveries, which represent births that are induced or done by cesarean section after 37 weeks of pregnancy but before 39 weeks. Early elective deliveries are linked to a wide range of health problems for the infant.
Leapfrog reporting helped “galvanize” the efforts of many different groups and individuals that worked to reduce the rate of early elective deliveries from a national average of 17 percent in 2010 to 2.8 percent today.
“That achievement means hundreds of thousands of babies did not end up in the Neonatal Intensive Care Unit (NICU) in the U.S.,” Binder said. Employers can help Leapfrog use the transparency movement to have the same impact in other areas.